Entries =
(1)
The following is a DFT calculation (wB97M-V/def2-TZVPD) of C2H5N3OS2 in the gas phase.

ORCA input file:
```
! RIJCOSX wB97M-V def2-TZVPD def2/J DEFGRID3
* xyz 0 1
N 0.8660 1.3019 1.8196
N 1.1654 0.7613 0.5702
C 0.2441 -0.0423 -0.0959
N 0.5210 -0.8408 -1.0589
O 1.9586 -0.9989 -1.1327
S -1.4349 0.3072 0.3198
C -2.4137 -0.6085 -0.7705
S -3.9901 -0.5538 -0.7375
H 0.2511 0.6886 2.3873
H 0.4555 2.1961 1.7366
H 2.1683 0.5361 0.3811
H 2.0226 -1.5435 -1.9394
H -1.8138 -1.2035 -1.4795
*
```

Values from the calculation:
- Energy relative to the best compared isomer or geometry (same formula, charge and spin): 72.3 kcal/mol
- SMILES: NN/C(=N\O)SC=S
- E_HOMO: -8.86 eV
- Frontier orbital gap: 8.44 eV

***

(2)
The following is a DFT calculation (wB97M-V/def2-TZVPD) of a molecular structure, C2H5N5O.

ORCA input file:
```
! RIJCOSX wB97M-V def2-TZVPD def2/J DEFGRID3
* xyz 0 1
C -1.8600 1.2549 0.8351
C -0.5205 -0.3551 -0.2845
H -2.0814 1.9709 -0.1881
H -2.1660 2.0097 2.0207
H -2.5760 0.0603 1.0323
H 2.0496 -2.1363 -0.0050
H -1.1522 -2.0040 -0.7965
N -0.4415 0.8715 0.3381
N 0.7674 1.4819 0.4041
N 1.6386 0.5779 0.0160
N 0.9316 -0.6077 -0.1261
N -1.5763 -1.0150 -0.7309
O 1.3712 -1.8075 -0.5845
*
```

Values from the calculation:
- Energy relative to the best compared isomer or geometry (same formula, charge and spin): 172.4 kcal/mol
- E_HOMO: -8.77 eV
- Frontier orbital gap: 9.33 eV

***

no.,F_max (eV Å⁻¹)
1,2.07
2,5.05

* * * * *

40
Properties=species:S:1:pos:R:3 method="wB97M-V/def2-TZVPD" relative_energy_kcal_mol=4.42 max_force_ev_per_a=1.2 mol_weight_g_mol=457.98 spin_multiplicity=3 s_squared=2.01 gap_ha="0.3426 / 0.2566" charge=+1
Pd -0.25 0.72 -0.21
C 2.49 2.24 -0.83
C 1.82 3.32 -0.01
S 0.01 3.20 -0.04
C -0.49 3.27 1.70
C 0.22 2.34 2.66
S 0.00 0.58 2.26
C 1.70 -0.04 2.39
C 2.71 0.55 1.42
S 2.18 0.52 -0.32
H 3.57 2.39 -0.84
H 2.15 2.26 -1.87
H 2.08 4.28 -0.46
H 2.17 3.35 1.02
H -1.56 3.03 1.64
H -0.40 4.30 2.05
H -0.19 2.50 3.66
H 1.29 2.54 2.72
H 1.59 -1.12 2.24
H 2.03 0.12 3.41

Work order =
Could you print everything further above unchanged?

Solution =
(1)
The following is a DFT calculation (wB97M-V/def2-TZVPD) of C2H5N3OS2 in the gas phase.

ORCA input file:
```
! RIJCOSX wB97M-V def2-TZVPD def2/J DEFGRID3
* xyz 0 1
N 0.8660 1.3019 1.8196
N 1.1654 0.7613 0.5702
C 0.2441 -0.0423 -0.0959
N 0.5210 -0.8408 -1.0589
O 1.9586 -0.9989 -1.1327
S -1.4349 0.3072 0.3198
C -2.4137 -0.6085 -0.7705
S -3.9901 -0.5538 -0.7375
H 0.2511 0.6886 2.3873
H 0.4555 2.1961 1.7366
H 2.1683 0.5361 0.3811
H 2.0226 -1.5435 -1.9394
H -1.8138 -1.2035 -1.4795
*
```

Values from the calculation:
- Energy relative to the best compared isomer or geometry (same formula, charge and spin): 72.3 kcal/mol
- SMILES: NN/C(=N\O)SC=S
- E_HOMO: -8.86 eV
- Frontier orbital gap: 8.44 eV

***

(2)
The following is a DFT calculation (wB97M-V/def2-TZVPD) of a molecular structure, C2H5N5O.

ORCA input file:
```
! RIJCOSX wB97M-V def2-TZVPD def2/J DEFGRID3
* xyz 0 1
C -1.8600 1.2549 0.8351
C -0.5205 -0.3551 -0.2845
H -2.0814 1.9709 -0.1881
H -2.1660 2.0097 2.0207
H -2.5760 0.0603 1.0323
H 2.0496 -2.1363 -0.0050
H -1.1522 -2.0040 -0.7965
N -0.4415 0.8715 0.3381
N 0.7674 1.4819 0.4041
N 1.6386 0.5779 0.0160
N 0.9316 -0.6077 -0.1261
N -1.5763 -1.0150 -0.7309
O 1.3712 -1.8075 -0.5845
*
```

Values from the calculation:
- Energy relative to the best compared isomer or geometry (same formula, charge and spin): 172.4 kcal/mol
- E_HOMO: -8.77 eV
- Frontier orbital gap: 9.33 eV

***

no.,F_max (eV Å⁻¹)
1,2.07
2,5.05

* * * * *

40
Properties=species:S:1:pos:R:3 method="wB97M-V/def2-TZVPD" relative_energy_kcal_mol=4.42 max_force_ev_per_a=1.2 mol_weight_g_mol=457.98 spin_multiplicity=3 s_squared=2.01 gap_ha="0.3426 / 0.2566" charge=+1
Pd -0.25 0.72 -0.21
C 2.49 2.24 -0.83
C 1.82 3.32 -0.01
S 0.01 3.20 -0.04
C -0.49 3.27 1.70
C 0.22 2.34 2.66
S 0.00 0.58 2.26
C 1.70 -0.04 2.39
C 2.71 0.55 1.42
S 2.18 0.52 -0.32
H 3.57 2.39 -0.84
H 2.15 2.26 -1.87
H 2.08 4.28 -0.46
H 2.17 3.35 1.02
H -1.56 3.03 1.64
H -0.40 4.30 2.05
H -0.19 2.50 3.66
H 1.29 2.54 2.72
H 1.59 -1.12 2.24
H 2.03 0.12 3.41